Exercise:
Next, restate the lines underneath up to the one that holds "-0.984 1.704", that line included.
Listing:
┌──
# 1
First-principles (PBE) data for BeSnSe2 after structural relaxation, as listed in the Alexandria database.

The structure in POSCAR format:
```
BeSnSe2
1.0
-5.866 -0.873 -3.084
-3.063 -0.366 5.931
-5.051 3.495 1.375
Sn Se Be
2 4 2
Cartesian
-7.691 1.001 -0.143
0.000 0.000 0.000
-11.333 1.569 3.001
-4.426 0.459 3.394
-4.797 0.359 -0.572
-7.406 2.124 2.619
-6.290 1.254 4.364
-4.465 -0.620 1.423
```

- DOS(E_F) (states/eV per cell) = 0.00
- energy relative to the elements, uncorrected (meV per atom) = -431

# 2
First-principles (PBE) data for BeSnSe2 after structural relaxation, as listed in the Alexandria database.

The structure in POSCAR format:
```
BeSnSe2
1.0
1.967 0.000 8.468
-0.984 1.704 8.468
-0.984 -1.704 8.468
Sn Se Be
1 2 1
Cartesian
0.000 0.000 0.000
0.000 0.000 22.511
0.000 0.000 2.891
0.000 0.000 12.701
```

- DOS(E_F) (states/eV per cell) = 2.65
- energy relative to the elements, uncorrected (meV per atom) = -160

Which value of energy relative to the elements, uncorrected does entry 2 give?
-160 meV per atom
└──
Worked solution:
# 1
First-principles (PBE) data for BeSnSe2 after structural relaxation, as listed in the Alexandria database.

The structure in POSCAR format:
```
BeSnSe2
1.0
-5.866 -0.873 -3.084
-3.063 -0.366 5.931
-5.051 3.495 1.375
Sn Se Be
2 4 2
Cartesian
-7.691 1.001 -0.143
0.000 0.000 0.000
-11.333 1.569 3.001
-4.426 0.459 3.394
-4.797 0.359 -0.572
-7.406 2.124 2.619
-6.290 1.254 4.364
-4.465 -0.620 1.423
```

- DOS(E_F) (states/eV per cell) = 0.00
- energy relative to the elements, uncorrected (meV per atom) = -431

# 2
First-principles (PBE) data for BeSnSe2 after structural relaxation, as listed in the Alexandria database.

The structure in POSCAR format:
```
BeSnSe2
1.0
1.967 0.000 8.468
-0.984 1.704 8.468